[Listing]
~~~
La6FeBi2: calculated powder diffractogram (Cu Kα (weighted mean of Kα1 and Kα2)), based on DFT lattice parameters and positions (PBE).
Lines closer than 0.1° are merged.

Crystal structure
```
data_La6FeBi2
_cell_length_a 7.3745
_cell_length_b 7.3745
_cell_length_c 10.4115
_cell_angle_alpha 90.00
_cell_angle_beta 90.00
_cell_angle_gamma 90.00
_space_group_name_H-M_alt 'P 4/m n c'
_space_group_IT_number 128
_space_group_name_Hall '-P 4 2n'
loop_
_atom_site_label
_atom_site_type_symbol
_atom_site_fract_x
_atom_site_fract_y
_atom_site_fract_z
_atom_site_occupancy
La1 La 0.0000 0.0000 0.2458 1
La2 La 0.2482 0.2509 0.0000 1
Fe1 Fe 0.0000 0.0000 0.5000 1
Bi1 Bi 0.0000 0.5000 0.2500 1
```

The 6 most intense peaks (2θ = 10–90°), sorted by position:
| index | 2θ/deg | intensity |
| --- | --- | --- |
| 2 0 2 | 29.7 | 1000 |
| 2 2 0 | 34.4 | 618 |
| 4 0 0 | 49.5 | 444 |
| 4 2 2 | 58.8 | 442 |
| 4 0 4 | 61.7 | 153 |
| 6 0 2 | 80.3 | 183 |

----------

# InI
Calculated powder diffractogram, copper Kα. Input: a GGA-PBE-relaxed structure.
Peak positions follow from Bragg's law for the DFT cell and can differ from measured ones.

Cell and atoms:
```
InI
1.0
4.877 0.000 0.000
0.000 16.360 0.000
0.000 0.000 6.772
In I
6 6
Cartesian
1.219 2.023 0.015 In
1.219 6.157 0.015 In
1.219 12.270 5.194 In
3.658 4.090 1.578 In
3.658 10.203 6.757 In
3.658 14.337 6.757 In
1.219 4.090 3.615 I
~~~
[To do]
Restate only the lines further up with the word "can" in them, please.
[Reply]
Peak positions follow from Bragg's law for the DFT cell and can differ from measured ones.